Brief:
Write out the contents further down unchanged.
Entries:
- - -
No. 1
## PmCu2PtO4 (PBE)

Data for an optimized crystal structure of PmCu2PtO4.

Unit cell a=5.599 b=5.599 c=6.176 alpha=90.00 beta=90.00 gamma=90.00
Space group I-42m (No. 121)
One atom of each set of equivalent atoms:
Pm1 0.000 0.000 0.000
Cu1 0.000 0.500 0.250
Pt1 0.000 0.000 0.500
O1 0.238 0.238 0.263

## Properties
- Final energy: -5.890 eV per atom



No. 2
## Tb3Er3TlIn2 (PBE)

Data for an optimized crystal structure of Tb3Er3TlIn2.

Unit cell a=8.9266 b=8.9266 c=3.7287 alpha=90.00 beta=90.00 gamma=120.00
Space group P-62m (No. 189)
One atom of each set of equivalent atoms:
Tb1 0.0000 0.7103 0.0000
Er1 0.0000 0.3806 0.5000
Tl1 0.0000 0.0000 0.5000
In1 0.3333 0.6667 0.0000

## Properties
- Final energy: -4.221 eV per atom



No. 3
## LaTc2Ni (PBE)

Data for an optimized crystal structure of LaTc2Ni.

Unit cell a=5.288 b=9.440 c=2.770 alpha=90.00 beta=90.00 gamma=90.00
Space group Cmmm (No. 65)
One atom of each set of equivalent atoms:
La1 0.000 0.000 0.000
Tc1 0.250 0.250 0.500
Ni1 0.000 0.500 0.000

## Properties
- Final energy: -7.259 eV per atom



No. 4
## BaCu2Cl6 (PBE)

Data for an optimized crystal structure of BaCu2Cl6.

Unit cell a=6.4454 b=6.4454 c=6.6134 alpha=90.00 beta=90.00 gamma=120.00
Space group P-31m (No. 162)
One atom of each set of equivalent atoms:
Ba1 0.0000 0.0000 0.0000
Cu1 0.3333 0.6667 0.5000
Cl1 0.0000 0.3817 0.7105

## Properties
- Final energy: -3.440 eV per atom

=====

8
Lattice="6.190 0.000 0.000 0.000 6.190 0.000 3.095 3.095 5.050" Properties=species:S:1:pos:R:3 comment="GaGe2Au | Alexandria via LeMat-Bulk | PBE | optimized geometry" ef_mev_per_atom=211 volume_a3_per_cell=193.49 pbc="T T T"
Ga 3.095 6.190 2.525
Ge 4.642 4.660 3.788
Au 6.190 3.095 2.525
Au 0.000 0.000 0.000
Ge 1.565 4.642 1.263
Ge 7.737 7.720 3.788
Ge 4.625 1.547 1.263
Ga 3.095 3.095 0.000

=====

# TlHgF3, optimized geometry, DFT PBE
# * spin magnetization: 0.000 μB per formula unit
# * E_form (uncorrected): -1.417 eV per atom
data_TlHgF3
_chemical_formula_sum 'Tl2 Hg2 F6'
_space_group_name_H-M_alt 'P 63/m m c'
_space_group_IT_number 194
_space_group_name_Hall '-P 6c 2c'
_cell_length_a 4.1352
_cell_length_b 4.1352
_cell_length_c 13.8612
_cell_angle_alpha 90.00
_cell_angle_beta 90.00
_cell_angle_gamma 120.00
loop_
_atom_site_label
_atom_site_fract_x
_atom_site_fract_y
_atom_site_fract_z
Tl1 0.3333 0.6667 0.2500
Hg1 0.0000 0.0000 0.0000
F1 0.0000 0.0000 0.2500
F2 0.3333 0.6667 0.0556

=====

## Pm2PrDy5Th (PBE)

Data for an optimized crystal structure of Pm2PrDy5Th.

Structure (POSCAR):
```
Pm2PrDy5Th
1.0
2.833 -10.087 0.000
2.833 10.087 0.000
0.000 0.000 10.505
Pm Pr Dy Th
4 2 10 2
Direct
0.114 0.886 0.500
0.116 0.884 0.909
0.884 0.116 0.409
0.886 0.114 0.000
0.413 0.587 0.628
0.587 0.413 0.128
0.016 0.984 0.204
0.276 0.724 0.498
0.298 0.702 0.890
0.387 0.613 0.204
0.478 0.522 0.917
0.522 0.478 0.417
0.613 0.387 0.704
0.702 0.298 0.390
0.724 0.276 0.998
0.984 0.016 0.704
0.201 0.799 0.194
0.799 0.201 0.694
```

Calculated values
Space group   No. 36

***

## PmPr5Dy2Th (PBE)

Data for an optimized crystal structure of PmPr5Dy2Th.

Structure (POSCAR):
```
PmPr5Dy2Th
1.0
2.871 -10.347 0.000
2.871 10.347 0.000
0.000 0.000 10.667
Pm Pr Dy Th
2 10 4 2
Direct
0.092 0.908 0.500
0.908 0.092 0.000
0.020 0.980 0.209
0.114 0.886 0.927
0.208 0.792 0.250
0.223 0.777 0.639
0.485 0.515 0.933
0.515 0.485 0.433
0.777 0.223 0.139
0.792 0.208 0.750
0.886 0.114 0.427
0.980 0.020 0.709
0.384 0.616 0.639
0.387 0.613 0.216
0.613 0.387 0.716
0.616 0.384 0.139
0.301 0.699 0.941
0.699 0.301 0.441
```

Calculated values
Space group   No. 36

***

## Pm2Pr4DyTh (PBE)

Data for an optimized crystal structure of Pm2Pr4DyTh.

Structure (POSCAR):
```
Pm2Pr4DyTh
1.0
6.125 0.000 0.000
0.000 6.136 0.000
-0.018 0.000 7.351
Pm Pr Dy Th
2 4 1 1
Direct
0.000 0.000 0.000
0.500 0.500 0.500
0.000 0.500 0.245
0.000 0.500 0.755
0.500 0.000 0.244
0.500 0.000 0.756
0.000 0.000 0.500
0.500 0.500 0.000
```

Calculated values
Space group   No. 10

***

## PmPrDyTh (PBE)
- - -
Response:
No. 1
## PmCu2PtO4 (PBE)

Data for an optimized crystal structure of PmCu2PtO4.

Unit cell a=5.599 b=5.599 c=6.176 alpha=90.00 beta=90.00 gamma=90.00
Space group I-42m (No. 121)
One atom of each set of equivalent atoms:
Pm1 0.000 0.000 0.000
Cu1 0.000 0.500 0.250
Pt1 0.000 0.000 0.500
O1 0.238 0.238 0.263

## Properties
- Final energy: -5.890 eV per atom



No. 2
## Tb3Er3TlIn2 (PBE)

Data for an optimized crystal structure of Tb3Er3TlIn2.

Unit cell a=8.9266 b=8.9266 c=3.7287 alpha=90.00 beta=90.00 gamma=120.00
Space group P-62m (No. 189)
One atom of each set of equivalent atoms:
Tb1 0.0000 0.7103 0.0000
Er1 0.0000 0.3806 0.5000
Tl1 0.0000 0.0000 0.5000
In1 0.3333 0.6667 0.0000

## Properties
- Final energy: -4.221 eV per atom



No. 3
## LaTc2Ni (PBE)

Data for an optimized crystal structure of LaTc2Ni.

Unit cell a=5.288 b=9.440 c=2.770 alpha=90.00 beta=90.00 gamma=90.00
Space group Cmmm (No. 65)
One atom of each set of equivalent atoms:
La1 0.000 0.000 0.000
Tc1 0.250 0.250 0.500
Ni1 0.000 0.500 0.000

## Properties
- Final energy: -7.259 eV per atom



No. 4
## BaCu2Cl6 (PBE)

Data for an optimized crystal structure of BaCu2Cl6.

Unit cell a=6.4454 b=6.4454 c=6.6134 alpha=90.00 beta=90.00 gamma=120.00
Space group P-31m (No. 162)
One atom of each set of equivalent atoms:
Ba1 0.0000 0.0000 0.0000
Cu1 0.3333 0.6667 0.5000
Cl1 0.0000 0.3817 0.7105

## Properties
- Final energy: -3.440 eV per atom

=====

8
Lattice="6.190 0.000 0.000 0.000 6.190 0.000 3.095 3.095 5.050" Properties=species:S:1:pos:R:3 comment="GaGe2Au | Alexandria via LeMat-Bulk | PBE | optimized geometry" ef_mev_per_atom=211 volume_a3_per_cell=193.49 pbc="T T T"
Ga 3.095 6.190 2.525
Ge 4.642 4.660 3.788
Au 6.190 3.095 2.525
Au 0.000 0.000 0.000
Ge 1.565 4.642 1.263
Ge 7.737 7.720 3.788
Ge 4.625 1.547 1.263
Ga 3.095 3.095 0.000

=====

# TlHgF3, optimized geometry, DFT PBE
# * spin magnetization: 0.000 μB per formula unit
# * E_form (uncorrected): -1.417 eV per atom
data_TlHgF3
_chemical_formula_sum 'Tl2 Hg2 F6'
_space_group_name_H-M_alt 'P 63/m m c'
_space_group_IT_number 194
_space_group_name_Hall '-P 6c 2c'
_cell_length_a 4.1352
_cell_length_b 4.1352
_cell_length_c 13.8612
_cell_angle_alpha 90.00
_cell_angle_beta 90.00
_cell_angle_gamma 120.00
loop_
_atom_site_label
_atom_site_fract_x
_atom_site_fract_y
_atom_site_fract_z
Tl1 0.3333 0.6667 0.2500
Hg1 0.0000 0.0000 0.0000
F1 0.0000 0.0000 0.2500
F2 0.3333 0.6667 0.0556

=====

## Pm2PrDy5Th (PBE)

Data for an optimized crystal structure of Pm2PrDy5Th.

Structure (POSCAR):
```
Pm2PrDy5Th
1.0
2.833 -10.087 0.000
2.833 10.087 0.000
0.000 0.000 10.505
Pm Pr Dy Th
4 2 10 2
Direct
0.114 0.886 0.500
0.116 0.884 0.909
0.884 0.116 0.409
0.886 0.114 0.000
0.413 0.587 0.628
0.587 0.413 0.128
0.016 0.984 0.204
0.276 0.724 0.498
0.298 0.702 0.890
0.387 0.613 0.204
0.478 0.522 0.917
0.522 0.478 0.417
0.613 0.387 0.704
0.702 0.298 0.390
0.724 0.276 0.998
0.984 0.016 0.704
0.201 0.799 0.194
0.799 0.201 0.694
```

Calculated values
Space group   No. 36

***

## PmPr5Dy2Th (PBE)

Data for an optimized crystal structure of PmPr5Dy2Th.

Structure (POSCAR):
```
PmPr5Dy2Th
1.0
2.871 -10.347 0.000
2.871 10.347 0.000
0.000 0.000 10.667
Pm Pr Dy Th
2 10 4 2
Direct
0.092 0.908 0.500
0.908 0.092 0.000
0.020 0.980 0.209
0.114 0.886 0.927
0.208 0.792 0.250
0.223 0.777 0.639
0.485 0.515 0.933
0.515 0.485 0.433
0.777 0.223 0.139
0.792 0.208 0.750
0.886 0.114 0.427
0.980 0.020 0.709
0.384 0.616 0.639
0.387 0.613 0.216
0.613 0.387 0.716
0.616 0.384 0.139
0.301 0.699 0.941
0.699 0.301 0.441
```

Calculated values
Space group   No. 36

***

## Pm2Pr4DyTh (PBE)

Data for an optimized crystal structure of Pm2Pr4DyTh.

Structure (POSCAR):
```
Pm2Pr4DyTh
1.0
6.125 0.000 0.000
0.000 6.136 0.000
-0.018 0.000 7.351
Pm Pr Dy Th
2 4 1 1
Direct
0.000 0.000 0.000
0.500 0.500 0.500
0.000 0.500 0.245
0.000 0.500 0.755
0.500 0.000 0.244
0.500 0.000 0.756
0.000 0.000 0.500
0.500 0.500 0.000
```

Calculated values
Space group   No. 10

***

## PmPrDyTh (PBE)